A couple years ago I was a regular on a certain wedding website forum :nudge nudge: and a newbie also from Central Florida showed up on the boards. We had a lot in common so we emailed and decided to hang out. We nommed on Panera and talked about life. That was the beginning of something that will last forever.
Kelly is my best friend, even in the short span of our friendship we've been there for each other through plenty of life changing events. Her first born, Kadie is the raddest 3 year old you'll ever meet and fearless as can be.. well except for when it comes to crab legs and she and her husband, Josh make beautiful babies.
Late September of 2009, I was awoken [..awakened? whatever] from my sleep by multiple missed calls from Kelly; I opened up my text inbox and saw "BFP, ANSWER YOUR FUCKING PHONE!" We laughed, we cried, we got really excited.. and then we realized she'd be a mom x2 to a brand new, nursing, newborn on her planned June wedding date.
The planning began that week to push her wedding to that November and she immediately sent out invites. We went dress shopping and found a BEAUTIFUL gown on an accidental clearance. High five whoever forgot to pull off the red tag. I made her a birdcage veil and donated wedding decor; our friend Nicole made the vegan cake; Josh, a chef, made the food and his restaurant hosted the reception. We all pitched in to make her dream a reality. The week prior to the wedding we rushed to tie up loose ends and figure out the logistics of the day; she found a gorgeous park with a great site to perform the ceremony. Friday night, Kelly, Nicole and myself hung out and Kelly got us tattoos as a bridesmaid gift. Pretty kickass. Fast forward to Saturday afternoon.. it was beautiful!
Wedding porn:

[Kim, Kelly, Me, Nicole]
..four weeks later I found out I was moving away to Texas. I wasn't even going to be there when Baby #2 was born! Kelly's wedding day ended up being the last time I was able to see her before I left; she lived an hour away and with working doubles and packing, it was really difficult to break away to go see her. I regret that with every inch of my soul.
May 13th, 2010, 8:50am
Best news EVER..

Happy Birthday
Someone pasted records of crystals at this point:
____________
Computed, not measured: a relaxed TcB2 crystal at the PBE level of DFT.

abc: 2.9028 2.9028 7.4726
angles: 90.00 90.00 120.00
Space group P6_3/mmc (No. 194)
One atom of each set of equivalent atoms:
Tc  0.3333  0.6667  0.2500 x2
B  0.3333  0.6667  0.5478 x4

Computed properties:
The energy of formation comes out at -0.441 eV/atom. For the total energy, the calculation gives -25.04 eV per formula unit.


Computed, not measured: a relaxed Fe2Cu3Sn6Se16 crystal at the PBE level of DFT.

abc: 7.677 7.724 10.882
angles: 90.00 90.60 90.00
Space group Pm (No. 6)
One atom of each set of equivalent atoms:
Fe  0.000  0.000  0.000 x1
Fe  0.499  0.500  0.497 x1
Cu  0.263  0.500  0.877 x1
Cu  0.743  0.500  0.120 x1
Cu  0.762  0.000  0.380 x1
Sn  0.010  0.500  0.502 x1
Sn  0.253  0.249  0.252 x2
Sn  0.502  0.000  0.993 x1
Sn  0.750  0.241  0.750 x2
Se  0.000  0.500  0.249 x1
Se  0.002  0.000  0.228 x1
Se  0.002  0.500  0.752 x1
Se  0.003  0.000  0.779 x1
Se  0.228  0.227  0.000 x2
Se  0.282  0.275  0.501 x2
Se  0.490  0.000  0.743 x1
Se  0.504  0.500  0.727 x1
Se  0.505  0.500  0.270 x1
Se  0.507  0.000  0.249 x1
Se  0.733  0.271  0.499 x2
Se  0.775  0.228  0.001 x2

Computed properties:
Its spin magnetization is 1.00 μB per cell. The energy of formation comes out at -0.581 eV/atom. For the total energy, the calculation gives -117.37 eV per formula unit.
____________
Kaelyn Drew
5lbs, 9oz.
..and all I could do was send flowers and gifts. I love that little nugget more than anything and I haven't even had the chance to meet her.
Last week Kelly and her family moved their lives to Wisconsin. I was so happy for her to be receiving the opportunities that come with living there, but I was torn apart when I realized that I wouldn't be seeing her on my vacation to Florida this fall. Friends are forever, no matter the distance between us.

I'm so proud of you and I'm coming to Wisconsin soon!
I honestly don't know where I'd be without her right now; she helped me through a really rocky time in my marriage, and has been my shoulder to cry on during my battle with infertility.
Thank you internet, for introducing me to the best mother, friend, person I've ever known.
This post has me crying.
ReplyDeleteI cry EVERY time I reread it LOL